Activity:
Echo everything below with every line break kept.

Listing:
Below is a relaxed Li2FeF5 crystal, with properties calculated at the GGA+U level.

Cell: 7.2246 19.1997 5.4904 Å, 90.00 90.00 90.00°
Closest atoms and distances in Å follow each position.
Positions (direct):
Li1 0.1026 0.1533 0.0000  1 F 1.83
Li2 0.1936 0.5829 0.5000  3 F 1.96-2.06
Li3 0.2010 0.0160 0.0000  3 F 1.87-2.06
Li4 0.2351 0.7355 0.5000  3 F 1.94-2.03
Li5 0.2649 0.2355 0.5000  3 F 1.94-2.03
Li6 0.2990 0.5160 0.0000  3 F 1.87-2.06
Li7 0.3064 0.0829 0.5000  3 F 1.96-2.06
Li8 0.3974 0.6533 0.0000  1 F 1.83
Li9 0.6026 0.3467 0.0000  1 F 1.83
Li10 0.6936 0.9171 0.5000  3 F 1.96-2.06
Li11 0.7010 0.4840 0.0000  3 F 1.87-2.06
Li12 0.7351 0.7645 0.5000  3 F 1.94-2.03
Li13 0.7649 0.2645 0.5000  3 F 1.94-2.03
Li14 0.7990 0.9840 0.0000  3 F 1.87-2.06
Li15 0.8064 0.4171 0.5000  3 F 1.96-2.06
Li16 0.8974 0.8467 0.0000  1 F 1.83
Fe1 0.0101 0.3431 0.0000  6 F 1.88-1.98
Fe2 0.1273 0.8973 0.5000  6 F 1.93-1.98
Fe3 0.3727 0.3973 0.5000  6 F 1.93-1.98
Fe4 0.4899 0.8431 0.0000  6 F 1.88-1.98
Fe5 0.5101 0.1569 0.0000  6 F 1.88-1.98
Fe6 0.6273 0.6027 0.5000  6 F 1.93-1.98
Fe7 0.8727 0.1027 0.5000  6 F 1.93-1.98
Fe8 0.9899 0.6569 0.0000  6 F 1.88-1.98
F1 0.0192 0.8034 0.5000  1 Fe 1.96, 2 Li 2.03-2.18
F2 0.0427 0.0729 0.2398  1 Fe 1.97, 2 Li 2.06-2.07
F3 0.0427 0.0729 0.7602  1 Fe 1.97, 2 Li 2.06-2.07
F4 0.0523 0.2466 0.0000  1 Li 1.83, 1 Fe 1.88
F5 0.0699 0.5611 0.0000  1 Li 1.87, 1 Fe 1.93
F6 0.1776 0.6650 0.2582  3 Li 1.94-2.14, 1 Fe 1.97
F7 0.1776 0.6650 0.7418  3 Li 1.94-2.14, 1 Fe 1.97
F8 0.2046 0.3585 0.2488  2 Fe 1.98
F9 0.2046 0.3585 0.7512  2 Fe 1.98
F10 0.2275 0.4816 0.5000  1 Fe 1.93, 1 Li 1.96
F11 0.2725 0.9816 0.5000  1 Fe 1.93, 1 Li 1.96
F12 0.2954 0.8585 0.2488  2 Fe 1.98
F13 0.2954 0.8585 0.7512  2 Fe 1.98
F14 0.3224 0.1650 0.2582  3 Li 1.94-2.14, 1 Fe 1.97
F15 0.3224 0.1650 0.7418  3 Li 1.94-2.14, 1 Fe 1.97
F16 0.4301 0.0611 0.0000  1 Li 1.87, 1 Fe 1.93
F17 0.4477 0.7466 0.0000  1 Li 1.83, 1 Fe 1.88
F18 0.4573 0.5729 0.2398  1 Fe 1.97, 2 Li 2.06-2.07
F19 0.4573 0.5729 0.7602  1 Fe 1.97, 2 Li 2.06-2.07
F20 0.4808 0.3034 0.5000  1 Fe 1.96, 2 Li 2.03-2.18
F21 0.5192 0.6966 0.5000  1 Fe 1.96, 2 Li 2.03-2.18
F22 0.5427 0.4271 0.2398  1 Fe 1.97, 2 Li 2.06-2.07
F23 0.5427 0.4271 0.7602  1 Fe 1.97, 2 Li 2.06-2.07
F24 0.5523 0.2534 0.0000  1 Li 1.83, 1 Fe 1.88
F25 0.5699 0.9389 0.0000  1 Li 1.87, 1 Fe 1.93
F26 0.6776 0.8350 0.2582  3 Li 1.94-2.14, 1 Fe 1.97
F27 0.6776 0.8350 0.7418  3 Li 1.94-2.14, 1 Fe 1.97
F28 0.7046 0.1415 0.2488  2 Fe 1.98
F29 0.7046 0.1415 0.7512  2 Fe 1.98
F30 0.7275 0.0184 0.5000  1 Fe 1.93, 1 Li 1.96
F31 0.7725 0.5184 0.5000  1 Fe 1.93, 1 Li 1.96
F32 0.7954 0.6415 0.2488  2 Fe 1.98
F33 0.7954 0.6415 0.7512  2 Fe 1.98
F34 0.8224 0.3350 0.2582  3 Li 1.94-2.14, 1 Fe 1.97
F35 0.8224 0.3350 0.7418  3 Li 1.94-2.14, 1 Fe 1.97
F36 0.9301 0.4389 0.0000  1 Li 1.87, 1 Fe 1.93
F37 0.9477 0.7534 0.0000  1 Li 1.83, 1 Fe 1.88
F38 0.9573 0.9271 0.2398  1 Fe 1.97, 2 Li 2.06-2.07
F39 0.9573 0.9271 0.7602  1 Fe 1.97, 2 Li 2.06-2.07
F40 0.9808 0.1966 0.5000  1 Fe 1.96, 2 Li 2.03-2.18

Results
Energy relative to the lowest polymorph listed for this composition (kJ/mol of formula units): 61.3
Total magnetization (μB per formula unit): 5.000
Formation energy (meV per atom): -2836

Below is a relaxed LiFeF3 crystal, with properties calculated at the GGA+U level.

Cell: 6.9120 7.9736 21.2672 Å, 83.01 82.89 89.06°
Closest atoms and distances in Å follow each position.
Positions (direct):
Li1 0.0136 0.3679 0.4210  4 F 1.87-1.97
Li2 0.0349 0.9311 0.7962  4 F 1.85-1.93
Li3 0.1194 0.2183 0.0158  4 F 1.79-1.93
Li4 0.1618 0.8985 0.6517  4 F 1.86-2.00
Li5 0.1947 0.5254 0.2320  4 F 1.80-2.00
Li6 0.2430 0.8144 0.4443  3 F 1.85-1.94
Li7 0.2463 0.2020 0.8642  4 F 1.80-1.94
Li8 0.3249 0.4969 0.0891  4 F 1.82-1.91
Li9 0.3911 0.7957 0.2956  4 F 1.84-2.01
Li10 0.6089 0.2043 0.7044  4 F 1.84-2.01
Li11 0.6751 0.5031 0.9109  4 F 1.82-1.91
Li12 0.7537 0.7980 0.1358  4 F 1.80-1.94
Li13 0.7570 0.1856 0.5557  3 F 1.85-1.94

Written answer:
Below is a relaxed Li2FeF5 crystal, with properties calculated at the GGA+U level.

Cell: 7.2246 19.1997 5.4904 Å, 90.00 90.00 90.00°
Closest atoms and distances in Å follow each position.
Positions (direct):
Li1 0.1026 0.1533 0.0000  1 F 1.83
Li2 0.1936 0.5829 0.5000  3 F 1.96-2.06
Li3 0.2010 0.0160 0.0000  3 F 1.87-2.06
Li4 0.2351 0.7355 0.5000  3 F 1.94-2.03
Li5 0.2649 0.2355 0.5000  3 F 1.94-2.03
Li6 0.2990 0.5160 0.0000  3 F 1.87-2.06
Li7 0.3064 0.0829 0.5000  3 F 1.96-2.06
Li8 0.3974 0.6533 0.0000  1 F 1.83
Li9 0.6026 0.3467 0.0000  1 F 1.83
Li10 0.6936 0.9171 0.5000  3 F 1.96-2.06
Li11 0.7010 0.4840 0.0000  3 F 1.87-2.06
Li12 0.7351 0.7645 0.5000  3 F 1.94-2.03
Li13 0.7649 0.2645 0.5000  3 F 1.94-2.03
Li14 0.7990 0.9840 0.0000  3 F 1.87-2.06
Li15 0.8064 0.4171 0.5000  3 F 1.96-2.06
Li16 0.8974 0.8467 0.0000  1 F 1.83
Fe1 0.0101 0.3431 0.0000  6 F 1.88-1.98
Fe2 0.1273 0.8973 0.5000  6 F 1.93-1.98
Fe3 0.3727 0.3973 0.5000  6 F 1.93-1.98
Fe4 0.4899 0.8431 0.0000  6 F 1.88-1.98
Fe5 0.5101 0.1569 0.0000  6 F 1.88-1.98
Fe6 0.6273 0.6027 0.5000  6 F 1.93-1.98
Fe7 0.8727 0.1027 0.5000  6 F 1.93-1.98
Fe8 0.9899 0.6569 0.0000  6 F 1.88-1.98
F1 0.0192 0.8034 0.5000  1 Fe 1.96, 2 Li 2.03-2.18
F2 0.0427 0.0729 0.2398  1 Fe 1.97, 2 Li 2.06-2.07
F3 0.0427 0.0729 0.7602  1 Fe 1.97, 2 Li 2.06-2.07
F4 0.0523 0.2466 0.0000  1 Li 1.83, 1 Fe 1.88
F5 0.0699 0.5611 0.0000  1 Li 1.87, 1 Fe 1.93
F6 0.1776 0.6650 0.2582  3 Li 1.94-2.14, 1 Fe 1.97
F7 0.1776 0.6650 0.7418  3 Li 1.94-2.14, 1 Fe 1.97
F8 0.2046 0.3585 0.2488  2 Fe 1.98
F9 0.2046 0.3585 0.7512  2 Fe 1.98
F10 0.2275 0.4816 0.5000  1 Fe 1.93, 1 Li 1.96
F11 0.2725 0.9816 0.5000  1 Fe 1.93, 1 Li 1.96
F12 0.2954 0.8585 0.2488  2 Fe 1.98
F13 0.2954 0.8585 0.7512  2 Fe 1.98
F14 0.3224 0.1650 0.2582  3 Li 1.94-2.14, 1 Fe 1.97
F15 0.3224 0.1650 0.7418  3 Li 1.94-2.14, 1 Fe 1.97
F16 0.4301 0.0611 0.0000  1 Li 1.87, 1 Fe 1.93
F17 0.4477 0.7466 0.0000  1 Li 1.83, 1 Fe 1.88
F18 0.4573 0.5729 0.2398  1 Fe 1.97, 2 Li 2.06-2.07
F19 0.4573 0.5729 0.7602  1 Fe 1.97, 2 Li 2.06-2.07
F20 0.4808 0.3034 0.5000  1 Fe 1.96, 2 Li 2.03-2.18
F21 0.5192 0.6966 0.5000  1 Fe 1.96, 2 Li 2.03-2.18
F22 0.5427 0.4271 0.2398  1 Fe 1.97, 2 Li 2.06-2.07
F23 0.5427 0.4271 0.7602  1 Fe 1.97, 2 Li 2.06-2.07
F24 0.5523 0.2534 0.0000  1 Li 1.83, 1 Fe 1.88
F25 0.5699 0.9389 0.0000  1 Li 1.87, 1 Fe 1.93
F26 0.6776 0.8350 0.2582  3 Li 1.94-2.14, 1 Fe 1.97
F27 0.6776 0.8350 0.7418  3 Li 1.94-2.14, 1 Fe 1.97
F28 0.7046 0.1415 0.2488  2 Fe 1.98
F29 0.7046 0.1415 0.7512  2 Fe 1.98
F30 0.7275 0.0184 0.5000  1 Fe 1.93, 1 Li 1.96
F31 0.7725 0.5184 0.5000  1 Fe 1.93, 1 Li 1.96
F32 0.7954 0.6415 0.2488  2 Fe 1.98
F33 0.7954 0.6415 0.7512  2 Fe 1.98
F34 0.8224 0.3350 0.2582  3 Li 1.94-2.14, 1 Fe 1.97
F35 0.8224 0.3350 0.7418  3 Li 1.94-2.14, 1 Fe 1.97
F36 0.9301 0.4389 0.0000  1 Li 1.87, 1 Fe 1.93
F37 0.9477 0.7534 0.0000  1 Li 1.83, 1 Fe 1.88
F38 0.9573 0.9271 0.2398  1 Fe 1.97, 2 Li 2.06-2.07
F39 0.9573 0.9271 0.7602  1 Fe 1.97, 2 Li 2.06-2.07
F40 0.9808 0.1966 0.5000  1 Fe 1.96, 2 Li 2.03-2.18

Results
Energy relative to the lowest polymorph listed for this composition (kJ/mol of formula units): 61.3
Total magnetization (μB per formula unit): 5.000
Formation energy (meV per atom): -2836

Below is a relaxed LiFeF3 crystal, with properties calculated at the GGA+U level.

Cell: 6.9120 7.9736 21.2672 Å, 83.01 82.89 89.06°
Closest atoms and distances in Å follow each position.
Positions (direct):
Li1 0.0136 0.3679 0.4210  4 F 1.87-1.97
Li2 0.0349 0.9311 0.7962  4 F 1.85-1.93
Li3 0.1194 0.2183 0.0158  4 F 1.79-1.93
Li4 0.1618 0.8985 0.6517  4 F 1.86-2.00
Li5 0.1947 0.5254 0.2320  4 F 1.80-2.00
Li6 0.2430 0.8144 0.4443  3 F 1.85-1.94
Li7 0.2463 0.2020 0.8642  4 F 1.80-1.94
Li8 0.3249 0.4969 0.0891  4 F 1.82-1.91
Li9 0.3911 0.7957 0.2956  4 F 1.84-2.01
Li10 0.6089 0.2043 0.7044  4 F 1.84-2.01
Li11 0.6751 0.5031 0.9109  4 F 1.82-1.91
Li12 0.7537 0.7980 0.1358  4 F 1.80-1.94
Li13 0.7570 0.1856 0.5557  3 F 1.85-1.94